Dear Readers,
I grew up around real estate. My parents were both realtors and in 1995 my sister and I took over the family business. And in all my years in the industry I’ve never seen a market quite like this one. In July members of the High Country Association of Realtors® sold more than 360 homes in the area – a 72 percent increase from the year before. Now we’re running out of inventory.
July was also our busiest month for land transactions in over a decade (110 tracts of land worth $9.9 million). That’s in the middle of a pandemic and an economic crisis; and there’s a reason why people are buying anyway.
With the ability to work remotely via Zoom, people are choosing to spread out. They’re relocating to the High Country because of what we offer: wide-open space, outdoor recreation, a small-town atmosphere, and an overall quality of life that makes this an ideal place to live. The question now is how do we protect that? How do we make this growth sustainable while preserving the scenery, sense of community and natural environment families come here for in the first place?
My family moved from Miami to Blowing Rock in 1969. Here in the mountains of North Carolina we found a safe, affordable, picturesque, family-oriented way of life (straight out of a Norman Rockwell painting) and that’s why we never left. Now the secret’s out.
We all know about the growth of downtown Boone because of Appalachian State University and its enrollment of over 20,000 students. But it’s not just Boone that’s changing. In the month of July there were more homes sold in Avery County than our association has ever recorded. But what about the month of August?
In August there were 30 home sales in Alleghany County (worth $6.3 million). That’s the most homes our members have sold in Alleghany in at least 12 years. And in Ashe County 69 homes were sold in the month of August (totaling $22.99 million). Their previous monthly high was 48 homes. And our phones won’t stop ringing.
Some of this is temporary. Interest rates are at record lows. There is an increased interest right now in country living from those who were stuck in apartment buildings during the pandemic. Much of that will go back to normal. But there will be a new normal.
Unrelated to this article: data records
~~~
# Na2CaCl4
Simulated X-ray powder pattern, Cu Kα. Input: a DFT-relaxed cell (PBE, Alexandria).

Principal peaks in the range 2θ from 10° to 90°, in order of falling intensity:
3.070 Å, 2θ = 29.09°, rel. 100.0; 3.159 Å, 2θ = 28.25°, rel. 99.4; 2.044 Å, 2θ = 44.32°, rel. 77.5; 6.022 Å, 2θ = 14.71°, rel. 60.7; 2.346 Å, 2θ = 38.36°, rel. 58.7; 2.427 Å, 2θ = 37.03°, rel. 51.1; 2.059 Å, 2θ = 43.97°, rel. 50.5; 3.187 Å, 2θ = 27.99°, rel. 49.7

Structural model:
```
7
Lattice="7.143 -2.059 0.000 7.143 2.059 0.000 -3.076 0.000 6.375" Properties=species:S:1:pos:R:3 pbc="T T T"
Na 2.397 0.000 1.190
Na 8.813 0.000 5.185
Ca 5.605 0.000 3.187
Cl 0.368 0.000 3.116
Cl 5.169 0.000 0.519
Cl 6.041 0.000 5.856
Cl 10.843 0.000 3.259
```

* * * * *

(1)
The following is a simulated powder diffraction line list of SiC. It was derived from a GGA-PBE-relaxed structure, using Cu Kα X-rays.
Lines closer than 0.1° are merged.

Structure:
a = 3.0940 Å, b = 3.0940 Å, c = 10.1278 Å
α = 90.00°, β = 90.00°, γ = 120.00°
Space group P6_3mc (No. 186)
Inequivalent atoms, fractional coordinates:
Si 0.0000 0.0000 0.0000 (multiplicity 2)
Si 0.3333 0.6667 0.2500 (multiplicity 2)
C 0.0000 0.0000 0.3125 (multiplicity 2)
C 0.3333 0.6667 0.0619 (multiplicity 2)

Most intense lines, 2θ = 5–70°, in order of rising 2θ:
2θ/deg  intensity  hkl
33.44  25  1 0 0
34.63  100  1 0 1
35.45  67  0 0 4
37.99  99  1 0 2
43.10  18  1 0 3
49.53  9  1 0 4
56.99  26  1 0 5
59.78  60  1 1 0
65.34  46  1 0 6



(2)
The following is a simulated powder diffraction line list of NaSrHfBiO6. It was derived from a GGA-PBE-relaxed structure, using Cu Kα X-rays.
Lines closer than 0.1° are merged.

Structure:
a = 8.3091 Å, b = 8.3091 Å, c = 8.3091 Å
α = 90.00°, β = 90.00°, γ = 90.00°
Space group F-43m (No. 216)
Inequivalent atoms, fractional coordinates:
Na 0.0000 0.0000 0.0000 (multiplicity 4)
Sr 0.0000 0.0000 0.5000 (multiplicity 4)
Hf 0.2500 0.2500 0.7500 (multiplicity 4)
Bi 0.2500 0.2500 0.2500 (multiplicity 4)
O 0.0026 0.2500 0.7500 (multiplicity 24)

Most intense lines, 2θ = 5–70°, in order of rising 2θ:
2θ/deg  intensity  hkl
18.50  5  1 1 1
21.39  52  2 0 0
30.43  100  2 2 0
35.84  3  3 1 1
37.50  5  2 2 2
43.57  31  4 0 0
49.03  23  4 2 0
54.07  42  4 2 2
63.32  19  4 4 0
67.65  11  6 0 0

* * * * *

1.
Computed powder diffraction line list
Compound: YPSN2
Radiation: Cu Ka
Structure: a PBE-relaxed structure
Peak positions follow from Bragg's law for the DFT cell and can differ from measured ones.

Structural model:
Cell lengths 3.7382, 3.7382, 4.5590 Å; angles 90.00, 90.00, 90.00 degrees
Space group P4/mmm (No. 123)
Unique sites:
Y1 0.0000 0.0000 0.0000
P1 0.5000 0.5000 0.5000
S1 0.5000 0.5000 0.0000
N1 0.0000 0.5000 0.5000

The 8 most intense peaks (10 to 90 degrees two-theta), in order of falling intensity:
2θ/deg, I_rel
30.9, 100
39.4, 92
33.9, 81
48.7, 54
39.5, 52
53.0, 45
64.5, 43
19.5, 41

---

2.
Computed powder diffraction line list
Compound: CdAg3
Radiation: Cu Ka
Structure: a PBE-relaxed structure
~~~
Before the pandemic one of the issues facing the state was the rural-urban divide. Cities in North Carolina were doing well while many rural areas were struggling. Boone benefitted from being the home of a higher education institution. But surrounding areas were still finding their way in the new economy.
But now that you can work from home for a bank or a software company, more and more people are going to choose to do that throughout the High Country in West Jefferson, Newland, Sparta, Deep Gap, Creston, and Banner Elk. That’s the good news.
Now we need a modern healthcare, education and transportation system to support them. We need investments in affordable housing so we don’t price young people and first-time homebuyers out of the market. We need 21st century water and sewer infrastructure. We need high-speed broadband internet that reaches every dirt road in the High Country. But we also need a strategy for growth and sustainability.
My message to state and local officials is to give us the tools to keep the region growing – to keep this booming market going – but to strike a balance that keeps property taxes low and the area so affordable. Our members are selling homes just as soon as they get listed; and for record prices too. But that means we need to start thinking ahead. Because life in the High Country will never be the same and families won’t stop coming. And because the future is already here. So let’s get ready.
Calculated crystals, kept here for reference
********
Starting from a DFT-relaxed cell (GGA+U, Alexandria), the PXRD pattern of Hf3MnF was computed for Cu Ka.
No peak broadening, texture or thermal motion is included.

Most intense lines, 2θ = 15–90°, by intensity:
hkl  2theta  I_rel
1 1 1  34.3  100
2 0 0  39.8  57
3 1 1  68.8  40
2 2 0  57.6  39
1 0 0  19.6  18
2 2 2  72.3  13
2 1 0  44.8  9
1 1 0  27.9  8

Crystal structure
Unit cell a=4.526 b=4.526 c=4.526 alpha=90.00 beta=90.00 gamma=90.00
Space group Pm-3m (No. 221)
Unique sites:
Hf: 0.000 0.000 0.500 x3
Mn: 0.500 0.500 0.500 x1
F: 0.000 0.000 0.000 x1
********
Pam Vines
President of the High Country Association of Realtors®